(Input)
This entry pairs a crystal structure of TbCo2IrO6 with its calculated PXRD pattern. Radiation: Cu Kα. Structure: the GGA+U geometry in Alexandria.

Main lines, sorted by position (10 to 80 degrees two-theta):
- 3.827 Å, I = 90
- 2.798 Å, I = 99
- 2.623 Å, I = 100
- 2.163 Å, I = 21
- 1.914 Å, I = 36
- 1.758 Å, I = 50
- 1.669 Å, I = 18
- 1.546 Å, I = 35
- 1.514 Å, I = 30
- 1.311 Å, I = 14

Cell and atoms:
Cell: 5.2455 5.2455 14.2076 Å, 90.00 90.00 120.00°
Space group R3 (No. 146, hexagonal axes)
Unique sites:
Tb 0.0000 0.0000 0.0000
Co 0.0000 0.0000 0.2717
Co 0.0000 0.0000 0.7953
Ir 0.0000 0.0000 0.4766
O 0.0026 0.3083 0.8771
O 0.0067 0.6105 0.0568

* * * * *

Entry 1:
The following is a theoretical powder diffraction line list of Mg2In2Pb5. It was derived from a crystal structure in Alexandria, relaxed with GGA-PBE, using Cu Kα X-rays.
Intensities are scaled so that the largest is 100.

Largest 12 diffraction maxima, sorted by position, 5 to 70 degrees two-theta:
| 2θ (°) | I_rel |
| --- | --- |
| 11.90 | 20 |
| 26.94 | 23 |
| 31.63 | 71 |
| 31.76 | 70 |
| 32.14 | 68 |
| 32.45 | 66 |
| 36.21 | 100 |
| 38.86 | 40 |
| 51.33 | 21 |
| 52.94 | 17 |
| 61.98 | 20 |
| 63.23 | 20 |

```
Mg2In2Pb5
1.0
4.966 0.000 0.000
2.413 6.951 0.000
0.190 2.349 7.438
Mg In Pb
2 2 5
direct
0.220 0.063 0.332
0.780 0.937 0.668
0.432 0.635 0.657
0.568 0.365 0.343
0.000 0.500 0.000
0.116 0.266 0.656
0.339 0.827 0.010
0.661 0.173 0.990
0.884 0.734 0.344
```


Entry 2:
The following is a theoretical powder diffraction line list of Y2TaOs2. It was derived from a crystal structure in Alexandria, relaxed with GGA-PBE, using Cu Kα X-rays.
Intensities are scaled so that the largest is 100.

Largest 12 diffraction maxima, sorted by position, 5 to 70 degrees two-theta:
| 2θ (°) | I_rel |
| --- | --- |
| 18.84 | 50 |
| 29.52 | 10 |
| 32.59 | 31 |
| 35.25 | 100 |
| 38.21 | 35 |
| 42.24 | 39 |
| 46.63 | 26 |
| 48.52 | 10 |
| 52.49 | 10 |
| 58.26 | 30 |
| 63.37 | 9 |
| 67.16 | 15 |

```
Y2TaOs2
1.0
6.765 0.000 0.000
0.000 6.765 0.000
0.000 0.000 4.711
Y Ta Os
4 2 4
direct
0.179 0.321 0.000
0.321 0.821 0.000
0.679 0.179 0.000
0.821 0.679 0.000
0.000 0.000 0.500
0.500 0.500 0.500
0.128 0.628 0.500
0.372 0.128 0.500
0.628 0.872 0.500
0.872 0.372 0.500
```


Entry 3:
The following is a theoretical powder diffraction line list of TmBe6Au6. It was derived from a crystal structure in Alexandria, relaxed with GGA-PBE, using Cu Kα X-rays.
Intensities are scaled so that the largest is 100.

Largest 12 diffraction maxima, sorted by position, 5 to 70 degrees two-theta:
| 2θ (°) | I_rel |
| --- | --- |
| 20.82 | 60 |
| 29.24 | 18 |
| 29.62 | 32 |
| 33.11 | 19 |
| 35.87 | 100 |
| 36.83 | 47 |
| 41.84 | 42 |
| 42.18 | 30 |
| 42.69 | 20 |
| 47.69 | 20 |
| 56.69 | 18 |
| 65.70 | 26 |

```
TmBe6Au6
1.0
-2.440 4.267 4.374
2.440 -4.267 4.374
2.440 4.267 -4.374
Tm Be Au
1 6 6
direct
0.000 0.000 0.000
0.000 0.000 0.500
0.000 0.500 0.000
0.239 0.500 0.739
0.500 0.000 0.000
0.500 0.500 0.500
0.761 0.500 0.261
0.177 0.677 0.500
0.331 0.000 0.331
0.341 0.341 0.000
0.659 0.659 0.000
0.669 0.000 0.669
0.823 0.323 0.500
```


What did the first record say?
The following is a theoretical powder diffraction line list of Mg2In2Pb5. It was derived from a crystal structure in Alexandria, relaxed with GGA-PBE, using Cu Kα X-rays.
Intensities are scaled so that the largest is 100.

Largest 12 diffraction maxima, sorted by position, 5 to 70 degrees two-theta:
| 2θ (°) | I_rel |
| --- | --- |
| 11.90 | 20 |
| 26.94 | 23 |
| 31.63 | 71 |
| 31.76 | 70 |
| 32.14 | 68 |
| 32.45 | 66 |
| 36.21 | 100 |
| 38.86 | 40 |
| 51.33 | 21 |
| 52.94 | 17 |
| 61.98 | 20 |
| 63.23 | 20 |

```
Mg2In2Pb5
1.0
4.966 0.000 0.000
2.413 6.951 0.000
0.190 2.349 7.438
Mg In Pb
2 2 5
direct
0.220 0.063 0.332
0.780 0.937 0.668
0.432 0.635 0.657
0.568 0.365 0.343
0.000 0.500 0.000
0.116 0.266 0.656
0.339 0.827 0.010
0.661 0.173 0.990
0.884 0.734 0.344
```

* * * * *

(Work order)
The reader should search the notes further above for the word "in" and copy each line that has it.

(Worked solution)
This entry pairs a crystal structure of TbCo2IrO6 with its calculated PXRD pattern. Radiation: Cu Kα. Structure: the GGA+U geometry in Alexandria.
The following is a theoretical powder diffraction line list of Mg2In2Pb5. It was derived from a crystal structure in Alexandria, relaxed with GGA-PBE, using Cu Kα X-rays.
The following is a theoretical powder diffraction line list of Y2TaOs2. It was derived from a crystal structure in Alexandria, relaxed with GGA-PBE, using Cu Kα X-rays.
The following is a theoretical powder diffraction line list of TmBe6Au6. It was derived from a crystal structure in Alexandria, relaxed with GGA-PBE, using Cu Kα X-rays.
The following is a theoretical powder diffraction line list of Mg2In2Pb5. It was derived from a crystal structure in Alexandria, relaxed with GGA-PBE, using Cu Kα X-rays.